Brazil: Seminary of the Most Holy Redeemer in Sacramento in peoples’ memories



St. Paul, passionate for Jesus Christ, rightly says: ‘The love of Christ constrains us.’
(Alphonsus Mary Liguori – The Practice of the Love of Jesus Christ).

On August 28th, 2021, the Live Memorable was the launching of the collective work Historias y Memorias del Seminario Santísimo Redentor de Sacramento, MG – Miradas de los que allí pasaron [Stories and Memories of the Most Holy Redeemer Seminary of Sacramento, MG – Views of those who were there]. The dynamics of the Live was unique because, in it, each of the segments registered in the work: formators and parish priests, Brothers, officials, Oblates, seminarians and relatives of the ex-seminarians (children and wives) took the floor to allude to the work on the canvas because it was written in a collective and participatory and memorable way.

The launching of the work took place in the context of the commemoration of the 60th anniversary of the Seminary of the Most Holy Redeemer in Sacramento, MG. This House of Formation and experience of Redemptorist spirituality in its redemptive dimension was the realisation of the dream of Father Antônio Borges de Souza, its idealiser. A place that could be a point of passage and a meeting point between the distant lands of Goiás and São Paulo. The city of Sacramento – in Minas Gerais, a abyssal town as Carlos Drummond de Andrade says and where the sun shines in a different and baroque way, like the colour of gold, both at dawn and at dusk – was presented on the afternoon of the launch of the collective work as a sign, as a sacrament of invisible things lived there in visible ways in the lives of each and every one of those who have shaped their lives there in time and space. Sacrament, therefore, of Redemptorist priests who marked and mark as sacrament in the lives of Antônio Borges de Souza, Victor Coelho de Almeida, Luiz Carlos de Oliveira, Eugenio Antonio Bisinoto and so many others. Today, the former Redemptorist house of formation and spirituality continues to carry out its vocation as a public good to the people of Sacramento through the Centre for Social Care, paying homage to Father Antônio Borges de Souza.

........
# 1
The following is a DFT calculation (ωB97M-V/def2-TZVPD) of a molecular structure, C7H8IN4PtSbSe4 in a non-equilibrium geometry.

Geometry as ORCA input:
```
! wB97M-V def2-TZVPD RIJCOSX def2/J DEFGRID3
* xyz -2 1
Pt -1.1280 -0.8241 -1.3243
I 1.9817 -1.9771 -2.8866
Sb -2.7778 -0.2743 0.6974
Se -2.9478 0.1182 -2.6007
Se -4.4977 -1.8467 1.4200
Se -3.8475 1.5384 -0.8546
Se -1.9125 0.8471 2.7837
N 1.4275 1.5109 -0.8677
N 0.7203 1.9587 1.2274
N 0.3511 -1.3672 0.0449
N 1.5120 -0.8472 1.8124
C 1.2326 -2.1864 1.9141
C 0.9515 -0.3859 0.6719
C 1.0243 1.0189 0.2879
C 0.8920 3.1588 0.5963
C -0.0861 -1.2519 -3.0479
C 0.5188 -2.4989 0.7987
C 1.3620 2.8768 -0.6520
H 1.6364 3.5704 -1.4310
H -0.5410 -2.0762 -3.5978
H 0.0767 -3.4350 0.5091
H 0.0298 -0.4042 -3.7194
H -0.0956 1.7120 1.8777
H 0.6591 4.0927 1.0780
H 1.5296 -2.7787 2.7597
H 1.9284 -0.2490 2.5029
*
```

Properties
**LUMO**: 4.160 eV
**Frontier orbital gap**: 5.09 eV
**HOMO energy**: -0.932 eV

# 2
The following is a DFT calculation (ωB97M-V/def2-TZVPD) of 3 unconnected molecules or ions with the total composition C5H17NO2 in a non-equilibrium geometry.

Geometry as ORCA input:
```
! wB97M-V def2-TZVPD RIJCOSX def2/J DEFGRID3
* xyz 1 2
O 2.9216 -0.6009 -1.4456
O -2.3861 -1.0171 -1.9901
N 0.0283 0.4405 -0.7023
C -0.1315 0.5008 0.7449
C -1.3033 -0.5340 2.7993
C 0.3283 1.6224 -1.5224
C -1.1057 -0.5233 1.2839
C 1.2329 0.2812 1.4212
H -2.0528 -0.2589 0.7276
H -1.5533 0.4280 3.2326
........

Live Memorable Book Launch

The Saturday of the launching of the collective work was a memorable Saturday, for the memory of the work, for the memory of the day where it was celebrated in the liturgical calendar, after the feast of St. Monica, his son, St. Augustine, for the memory of the Redemptorist spirituality itself out of the hands of St. Alphonsus Liguori and Blessed Mother Maria Celeste Crostarosa as living memory, the memory of the Redeemer, the memory of the plentiful redemption always present. Bonaventure of Bagnoregio, in his work Itinerario de la mente para Dios, in Chapter III, The Contemplation of God through his image impressed on the powers of the soul, says that “the activity of memory consists in retaining and representing not only present, human and temporal things, but also contingent, simple and eternal things. It retains past things by recollection, present things by vision, future things by foresight”. May it be the living memory: the memory of the plentiful redemption as the past; it is present, it is the future. It is, therefore, because it exists in history, in tradition, in simple and eternal experiences. Therefore the collective work is a memorial, as the title says, of those who passed there, retaining memories of the past. And, perhaps, on Saturday, on the day of the celebration of St. Augustine, a day not accidental, but which is linked to the beautiful work – synthesis of the scientific Theologia Moralis underlying it all the poorest poor of Naples, the goatherds of the mountains – The Practice of Love of Jesus Christ, for there, Augustine and Alfonso meet: Love and do what you will!

Thus, in the Live Memorable – retaining the things of memory present with the vision – was made the memories of the Memory, the Living Memory of living memories, because in the School of Alphonsus and Celeste, which is the School of Jesus Christ, Living Memory! This is the meaning, sign, sign, sacrament of the Seminary Most Holy Redeemer and, of the looks of those who passed there, in Sacramento das Gerais! And in this School, which was also the School of Bernhard Häring, where we learn the gesture of grateful memory! A collective work, therefore, of grateful memory!

In the various and diverse sayings of each one, of each one of the segments inscribed in work, the life of each one, of each one, immersed in popular devotion, in public policies, in the ecumenical dimension, in the lay life in the church and the world, was revealed a little, in the family, in Oblate life, in Latin American and Caribbean culture, in other words, each segment – of those who have been there – continuing the spirituality of the Redeemer in the various dimensions of human existence in the world. Thus, this form of meeting in the form of a Memorable Live was revealed to us as a way of Walking Together – a model of Church so dear and desired by Francis, the Pope – and that makes this singular and particular Session of the UNESER (Union National of the Redemptorist Ex-Seminarians of Brazil), from the experience/living from the Most Holy Redeemer Seminary of Sacramento, establishes a way of being/being of UNESER in Brazil with Latin American-Caribbean dimensions in a pluralistic manner, because today the Congregation of the Most Holy Redeemer is redesigning itself in its geo-political-religious in Latin America-Caribbean. It is the charism and the spirituality of redemption that is translated, therefore, in Our America.

Fathers Alberto Pasquoto and Luiz Carlos de Oliveira, as well as Miguel Alcânjo Soares spoke pointing, now, from memory to future things as foresight, opening new horizons as ways to continue the Redeemer, because celebrating on earth to celebrate forever in heaven. Decisive words in the sense of updating the living memory of the Redeemer by committing oneself in it, with it and for it, establishing a UNESER as an ecclesial, theological space of friendship and love, thus building: a Redemptorist laity in an ecumenical dimension in harmony with the Pastoral Constitution Gaudium et Spes of the Second Vatican Council, a way of being an Oblate enlightened by the Redemptorist spirituality, an attunement with the popular devotion of our Latin-American Caribbean people as recommended by the Document of Aparecida (DAp) – 2007 and as it was for Alfonso in Naples in the 18th century, a form of construction of the common good involved with the necessary public policies, mainly for the poorest of Latin America and the Caribbean, and a presence of the family, where women and sons and daughters are signs, actualisers and continuers of the charism of redemption.

Density functional theory data (wB97M-V/def2-TZVPD) for a molecular structure, C24H29AsIMgN2O3S.

Output
Lowest unoccupied orbital energy: -2.78 eV
Energy: -119698.0148 eV
Total charge: +1
Kohn-Sham gap: 0.28427 Ha

Last column: Mulliken charge in e.
Atoms and positions in Å:
1 Mg -0.062 -0.637 -0.735  0.6020
2 C 2.293 -4.454 -1.135  -1.2063
3 C 2.444 -3.655 0.122  0.5567
4 N 3.454 -3.907 0.915  -0.6300
5 C 3.586 -3.210 2.064  -0.9376
6 C 2.708 -2.244 2.467  0.7372
7 C 2.926 -1.542 3.784  -1.0245
8 O 1.877 -1.774 4.719  -0.5333
9 C 1.621 -1.916 1.609  -0.0598
10 C 0.655 -0.939 2.070  -0.2329
11 N -0.183 -0.318 1.311  -0.1727
12 C -1.146 0.542 1.892  -0.0034
13 C -0.784 1.600 2.720  -0.1021
14 C -1.752 2.440 3.246  -0.8235
15 C -3.091 2.233 2.950  -0.6127
16 C -3.466 1.182 2.125  -0.5470
17 C -2.495 0.348 1.594  -0.0369
18 I -3.056 -1.280 0.403  0.1931
19 C 1.476 -2.627 0.395  0.8356
20 O 0.533 -2.427 -0.480  -1.2926
21 H 3.113 -5.162 -1.212  0.3889
22 H 2.278 -3.804 -2.012  0.2273
23 H 1.343 -4.991 -1.133  0.3279
24 H 4.444 -3.466 2.677  0.3851
25 H 2.961 -0.459 3.651  0.3024
26 H 3.891 -1.846 4.195  0.4682
27 H 1.858 -2.713 4.931  0.3492
28 H 0.621 -0.761 3.145  1.0445
29 H 0.264 1.759 2.942  0.5046
30 H -1.458 3.258 3.891  0.4118
31 H -3.849 2.882 3.366  0.4248
32 H -4.509 1.003 1.905  0.4971
33 C 3.751 -0.886 -2.013  -1.1704
34 As 2.487 0.333 -1.183  0.4269
35 C 2.649 1.891 -2.339  -1.1765
36 C 3.534 0.916 0.349  -1.0907
37 H 4.710 -0.390 -2.162  0.4310
38 H 3.365 -1.224 -2.973  0.3570
39 H 3.888 -1.750 -1.363  0.3286
40 H 3.695 2.157 -2.483  0.4473
41 H 2.128 2.733 -1.883  0.3392
42 H 2.197 1.675 -3.307  0.3671
43 H 4.483 1.335 0.019  0.5000
44 H 3.721 0.054 0.989  0.2571
45 H 2.983 1.667 0.914  0.3284
46 C -1.362 2.893 -3.217  -1.0909
47 S -1.705 2.039 -1.687  0.5060
48 O -0.895 0.753 -1.838  -0.0130
49 C -3.400 1.607 -1.964  0.6398
50 C -4.350 2.236 -1.175  -0.4671
51 C -5.688 1.914 -1.356  -0.6098
52 C -6.048 0.963 -2.299  -0.4425
53 C -5.080 0.330 -3.074  -0.7664
54 C -3.745 0.652 -2.912  -0.3503
55 H -1.562 2.221 -4.049  0.3550
56 H -0.315 3.190 -3.198  0.3818
57 H -2.004 3.772 -3.264  0.4333
58 H -4.048 2.960 -0.429  0.4103
59 H -6.446 2.398 -0.756  0.4213
60 H -7.090 0.706 -2.431  0.4257
61 H -5.371 -0.414 -3.803  0.4072
62 H -2.979 0.154 -3.494  0.3735

***

Density functional theory data (wB97M-V/def2-TZVPD) for a molecular structure, C5H9NO.

Output
Lowest unoccupied orbital energy: 1.07 eV
Energy: -8865.9794 eV
Total charge: 0
Kohn-Sham gap: 0.38051 Ha

Last column: Mulliken charge in e.
Atoms and positions in Å:
1 C 1.957 0.252 0.469  -1.4268
2 C 0.803 -0.014 -0.476  0.2803
3 C -0.128 -1.284 -0.488  -0.6261
4 C -1.304 -0.342 -0.924  -0.5617
5 C -0.503 0.666 -0.164  0.5012
6 N -0.748 1.269 0.927  -0.4967
7 O -2.123 1.273 1.195  -0.3986
8 H 2.862 -0.307 0.214  0.3924
9 H 1.680 0.049 1.508  0.3048
10 H 2.191 1.322 0.406  0.3217
11 H 1.099 0.173 -1.516  0.2495
12 H 0.118 -2.117 -1.154  0.3232
13 H -0.267 -1.646 0.538  0.2473
(Back to the article)

History taught us in the Live Memorable that, unable to attend the ceremony in person in the city because of the pandemic, allowed the participants to “be Sacrament” in the virtual ceremony because on that day, we all went there. As reported by Messias dos Reis Silveira, who studied there, the Redemptorist missionary action integrated with the population and collaborators of the event, “Sacramentalised us”. Thus, in the dialogue as protagonist, in work published in a collective and participative way, we walked then, from that House of Redemptorist Formation to many other spaces in openings of horizons expanding the Redemptorist spirituality.

Finally, and it could not be different, the process of construction of the collective and participative work Historias y Memorias del Seminario Santísimo Redentor de Sacramento, MG – Miradas de los que allí pasaron and the realisation of the Live Memorable were only possible thanks to the gestures of assertiveness and conductivity from the hands of Vicente de Paula Alves and other collaborators. Many thanks to them because it made those who did not pass through the Seminary Santíssimo Redentor de Sacramento begin to make, since then, part of this beautiful and living memory of living memories, thus to be known with the reading of the appreciated work.

• Calculated molecules that have nothing to do with the article:
~~~
208
Properties=species:S:1:pos:R:3:forces:R:3 method="wB97M-V/def2-TZVPD" de_lowest_kcal_mol=128.1 e_lumo_ev=0.431 energy_ev=-191569.174 charge=0 gap_ev=10.704
C 10.918085 1.817049 9.660395 0.401 0.674 0.092
C 9.422786 1.831718 9.882914 0.912 -1.467 0.914
O 8.948199 3.024328 9.297624 -2.824 0.068 -0.770
P 7.436328 3.103248 8.609504 1.333 -0.877 -0.563
O 7.136341 4.463463 8.137064 0.116 -0.924 0.333
O 6.403008 2.466096 9.691007 2.199 1.127 -1.383
C 5.021046 2.322955 9.428064 -1.848 -1.647 -1.057
C 4.420552 2.588274 7.988472 2.093 0.725 1.129
O 7.526053 1.965677 7.393550 -0.792 0.604 3.178
C 8.636883 1.762669 6.519104 -0.717 1.699 -0.084
C 8.045244 2.150388 5.210152 0.485 -0.590 -2.229
H 11.501044 1.046642 10.165092 -0.482 -0.353 -0.040
H 11.086236 1.764455 8.584724 0.256 -0.010 0.032
H 11.335384 2.751001 10.036803 0.020 0.172 -0.188
H 9.050395 0.877686 9.509730 -0.649 0.291 -0.832
H 9.159635 1.745649 10.937163 0.018 0.648 0.205
H 4.858979 1.257202 9.589286 -0.111 -0.145 0.117
H 4.427584 2.804199 10.205428 0.329 0.496 -0.097
H 4.447111 3.663173 7.809647 -1.032 0.095 0.100
H 5.133756 2.284622 7.222163 -0.137 -0.757 0.058
H 3.483752 2.036643 7.909669 -0.012 0.515 -0.099
H 9.411935 2.486900 6.769870 0.427 -0.453 0.186
H 8.951682 0.719439 6.544912 0.090 0.139 0.208
H 7.203298 1.499009 4.975809 -0.216 0.186 0.130
H 7.777591 3.195467 5.054375 -0.176 -0.016 0.762
H 8.748012 1.970483 4.396612 0.318 -0.201 -0.104
C -10.882655 -2.105139 -8.841045 0.255 0.140 0.313
C -10.136562 -2.496885 -7.546679 -0.461 -2.175 -2.294
O -9.739198 -1.444657 -6.780902 1.534 1.752 2.639
P -8.241386 -1.229474 -6.188525 0.415 -0.073 -2.936
O -8.102850 -0.153204 -5.230468 -0.393 0.101 0.929
O -7.632666 -2.684064 -5.859953 -1.712 0.524 -0.443
C -6.251569 -2.851571 -5.644628 2.316 -0.617 0.290
C -5.826356 -4.338394 -5.587006 -1.576 0.315 0.624
O -7.434999 -0.900029 -7.555716 0.150 0.711 -0.645
C -7.283630 0.469464 -8.113626 0.576 0.028 0.730
C -6.348531 0.525926 -9.354465 -0.742 -0.893 0.790
H -11.904711 -1.776480 -8.652679 0.028 -0.041 -0.012
H -10.373897 -1.333700 -9.419101 0.171 0.212 0.319
H -10.878431 -2.963474 -9.512869 -0.292 -0.199 0.182
H -10.759385 -3.183281 -6.973046 -0.152 0.097 0.190
H -9.283626 -3.093026 -7.871023 0.260 -0.023 0.072
H -5.650934 -2.464854 -6.467908 -0.383 0.689 -0.036
H -5.980896 -2.367235 -4.706414 0.076 0.236 -0.126
H -4.762745 -4.548316 -5.699935 -0.091 0.483 -0.362
H -6.099595 -4.744890 -4.613243 -0.168 -0.198 -0.032
H -6.440688 -4.823926 -6.345260 0.360 -0.408 -0.083
H -8.229997 0.973740 -8.309060 -0.488 -0.793 -0.487
H -6.935585 1.116226 -7.308233 0.634 -0.274 0.135
H -6.303161 1.559579 -9.697379 -0.023 -0.099 -0.071
H -5.340319 0.146131 -9.189090 0.013 0.241 0.496
H -6.729487 -0.134348 -10.133572 -0.296 0.272 -0.175
C -1.486024 -1.342539 1.136045 0.744 0.122 -0.511
C -0.943285 -0.276478 0.167384 -1.078 0.309 2.553
O -0.644178 -0.864714 -1.050641 1.220 0.945 -2.269
P 0.203190 0.076001 -2.109381 -0.809 0.485 0.640
~~~

Edivaldo José Bortoleto / Vicente de Paula Alves – 10th September, Winter 2021.